
Connect with the Lesbian chat Community

  • What is the SHOE Lesbian Chat Community?
For Lesbians made by Lesbians. Create your own Profile, upload Photos, Videos and Playlists, write Blogs, chat with others in our free Lesbian Chat or browse our Lesbian Personals and more! SHOE Lesbian Community: Guaranteed 100% TOTALLY GIRL POWERED! Join thousands of Lesbians Today!

SHOE was launched 1997 as the first Lesbian Online Community worldwide. We provide Free Lesbian Chatrooms, Networking, Dating, Friendship and Resources For Lesbians Everywhere and Anywhere - of all Ages, Races and Cultures. The SHOE Lesbian Online Community is made by Lesbians for Lesbians -- 100% TOTALLY GIRL POWERED

SHOE is a Lesbian Community, a safe place where women not only meet new friends and have lots of fun, but also a safe place, where we are there for each other, where we help each other, where to empower each other and build a unit... a real lesbian community with Body and Soul and the ♥ Heart ♥ in the right place!

The SHOE Lesbian Online Community is a global site but makes it easy to connect with Lesbians in your area. SHOE is probably the safest and most welcoming place on the Internet.

A recent SHOE survey showed, that over 80% our members think that the SHOE Lesbian Online Community has NOTICEABLY less scams, fakes and/or men compared to any other lesbian websites.

  • What does SHOE stand for?

For Lesbians made by Lesbians. Create your own Profile, upload Photos, Videos and Playlists, write Blogs, chat with others in our free Lesbian Chat or browse our Lesbian Personals and more! SHOE Lesbian Community: Guaranteed 100% TOTALLY GIRL POWERED! Join thousands of Lesbians Today!

No oh dear... no... we do not have a shoe fetish *lol* Our name "SHOE" is a real brainteaser for some and that's what we tried to achieve. The Lesbian Community is so full of wonderful and amazing women, so full of diversity which we want to celebrate.

Hence the unraveleling of this mystery surrounding our name is as easy as this:
There are as many different types of shoes, as there are differen types of lesbian women!

  • Why should I sign up to the SHOE Lesbian Social Network?

SHOE Lesbian Online Community has a fresh, kewl and different way to cruise through lesbian cyber life. We no longer burn our bras, but wear our Wonderbras with Pride :-)

SHOE wants to help lesbians to be proud of who they are and give them the chance to meet other lesbians in a very easy and uncomplicated way. In reality or cyberworld. For friendship or love. For advice or help. We are here for each other!

## Calculated crystals, kept here for reference
~~~
No. 1
Structure and theoretical powder X-ray diffraction pattern of Li4MnCo2O7 (DFT lattice parameters and positions (GGA+U); Cu Kα).
Kinematic intensities with the Lorentz-polarization factor, no thermal factor.

Most intense lines, 2θ = 10–90°, low angle first:
two_theta  intensity
18.3  1000
35.2  134
36.3  272
42.5  285
43.9  542
47.4  93
57.8  94
62.6  145
62.9  144
64.6  73

a = 17.000 Å, b = 17.000 Å, c = 5.191 Å
α = 93.99°, β = 93.99°, γ = 9.74°
Fractional positions:
Li (0.000, 0.000, 0.000)
Li (0.145, 0.145, 0.717)
Li (0.286, 0.286, 0.419)
Li (0.435, 0.435, 0.120)
Li (0.504, 0.504, 0.500)
Li (0.571, 0.571, 0.848)
Li (0.715, 0.715, 0.563)
Li (0.862, 0.862, 0.291)
Mn (0.072, 0.072, 0.363)
Mn (0.360, 0.360, 0.776)
Co (0.216, 0.216, 0.073)
Co (0.645, 0.645, 0.211)
Co (0.787, 0.787, 0.923)
Co (0.937, 0.937, 0.605)
O (0.042, 0.042, 0.643)
O (0.110, 0.110, 0.067)
O (0.180, 0.180, 0.375)
O (0.255, 0.255, 0.771)
O (0.321, 0.321, 0.056)
O (0.394, 0.394, 0.502)
O (0.464, 0.464, 0.804)
O (0.543, 0.543, 0.191)
O (0.607, 0.607, 0.511)
O (0.681, 0.681, 0.906)
O (0.752, 0.752, 0.239)
O (0.828, 0.828, 0.611)
O (0.889, 0.889, 0.949)
O (0.963, 0.963, 0.319)

***

No. 2
Structure and theoretical powder X-ray diffraction pattern of Li7Mn2Co3O12 (DFT lattice parameters and positions (GGA+U); Cu Kα).
Kinematic intensities with the Lorentz-polarization factor, no thermal factor.

Most intense lines, 2θ = 10–90°, low angle first:
two_theta  intensity
18.2  1000
35.8  419
37.4  111
43.3  892
47.4  140
57.0  149
62.6  236
63.3  246
66.5  141
79.8  110

a = 2.938 Å, b = 2.938 Å, c = 29.250 Å
α = 90.00°, β = 90.00°, γ = 120.00°
Fractional positions:
Li (0.000, 0.000, 0.000)
Li (0.000, 0.000, 0.245)
Li (0.000, 0.000, 0.755)
Li (0.333, 0.667, 0.420)
Li (0.333, 0.667, 0.920)
Li (0.667, 0.333, 0.080)
Li (0.667, 0.333, 0.580)
Mn (0.333, 0.667, 0.667)
Mn (0.667, 0.333, 0.333)
Co (0.000, 0.000, 0.500)
Co (0.333, 0.667, 0.166)
Co (0.667, 0.333, 0.834)
O (0.000, 0.000, 0.130)
O (0.000, 0.000, 0.372)
O (0.000, 0.000, 0.628)
O (0.000, 0.000, 0.870)
O (0.333, 0.667, 0.043)
O (0.333, 0.667, 0.296)
O (0.333, 0.667, 0.534)
O (0.333, 0.667, 0.794)
O (0.667, 0.333, 0.206)
O (0.667, 0.333, 0.466)
O (0.667, 0.333, 0.704)
O (0.667, 0.333, 0.957)

***

No. 3
Structure and theoretical powder X-ray diffraction pattern of Li4Mn3CoO8 (DFT lattice parameters and positions (GGA+U); Cu Kα).
Kinematic intensities with the Lorentz-polarization factor, no thermal factor.

Most intense lines, 2θ = 10–90°, low angle first:
two_theta  intensity
18.1  1000
33.2  222
36.2  121
36.4  165
37.1  87
39.6  359
44.1  248
44.6  240
61.0  161
65.2  97

a = 5.427 Å, b = 5.725 Å, c = 9.822 Å
α = 89.55°, β = 84.62°, γ = 89.71°
Fractional positions:
Li (0.242, 0.002, 0.253)
Li (0.244, 0.500, 0.249)
Li (0.244, 0.751, 0.750)
Li (0.250, 0.248, 0.749)
Li (0.750, 0.752, 0.251)
Li (0.756, 0.249, 0.250)
Li (0.756, 0.500, 0.751)
Li (0.758, 0.998, 0.747)
Mn (0.000, 0.250, 0.500)
Mn (0.000, 0.500, 0.000)
~~~

Click here to register for free.

  • Getting started on the SHOE Lesbian Online Community

All of the female species are welcome to join the SHOE Lesbian Network. We are primarily a Lesbian Community but welcome all women. SHOE is free for everyone. If at a later stage you decide to support SHOE financially, you can always upgrade your membership and benefit from additional features.

Now get started by creating your own Profile, add photos, comment on photos, start your own playlist and make lots of new lesbian friends. A very warm welcome to the SHOE Lesbian Online Community We are looking forward to welcoming you into our lesbian community.

Take your shoes off and get yourself comfy...You have just found a new (virtual) home
Get started right here: